Let's interface
Our first step into the Arkitekt world will be to get familiar with its non-developer interface. By the end of this section, we will have shown you how to:
- Connect your first App (
) to your Arkitekt server - Login with your Arkitekt server with your user account
- Understand the basics of the Authentication and Authorization process
- Get familiar with the
Small steps to get you started!
Before you can start using Arkitekt, you need to have the Arkitekt server platform installed and started. Please refer to the
installation guide for more information. If you are using Konstruktor
to manage your Arkitekt server,
you should be seing a screen similar to the one below, before you continue with this tutorial.
The konstruktor dashboard of a started Arkitekt app. Make sure that all services are highlighted green before proceeding. Depending on your hardware configuration this might take a few seconds, after you press Start. If a service remains red or keeps restarting check our troubleshooting section
About Orkestrator
Now that you have the Arkitekt server installed, you can start using our default interface Orkestrator
which will be your main tool to interact with the Arkitekt server.
As previously mentioned all interaction with the Arkitekt server happens through apps, and Orkestrator
is the default app that comes with the Arkitekt server. Orkestrator
comes in two flavours: a desktop app and a webapp. The desktop app is a native app that you can download and install on your computer, while the webapp is a web-based app and can be accessed
through your browser. Both apps have similar funcitionality, but the desktop app has some additional features that are not available in the webapp. We strongly recommend that you use the desktop app
for your day-to-day work, and use the webapp only when you are not able to install the desktop app on your computer.So let's get started!
As Arkitekt is a webservice platform you might wonder why we recommend the desktop app. This is primarly because of the restrictions of modern webbrowsers to access webservices in your local network. While you can perfectly access your Arkitekt server hosten on your computer through your browser, you might have problems accessing it from another computer in your network. To circumvent this restriction, we have developed a desktop app that can be installed on your computer and that can access any Arkitekt server without restrictions, additionaly it can help you find local arkitekt servers in your network. without the need to know their IP addresses. It will soon also boast features like file synchronization with the Server. It's worth it!
Download the desktop app
You can download the desktop app from the github release page of the Arkitekt server. You can find the latest release here. Or just click on the button below, depending on your operating system.
I don't want to install the desktop app
That's perfectly understandable, you can also use the webapp. Just click here open the webapp in your browser. If you are not able to access the webapp, please refer to the troubleshooting section for more information. Be aware that we will assume that you are using the desktop app in the following sections, so some of the screenshots might look different in the webapp.
Lets Finally get started
After you have installed the desktop app, you should see the following screen, when you open the app.
If you are using the webapp, you should see a similar screen in your browser.
Allow us to guide you through this section, as it will give you a first impression of how Arkitekt Apps
and how we ensure that your data is safe and secure
This is the Connection Screen
of the Orkestrator app.
The big coloured button in the center of the screen is the start button to connect to your Arkitekt server. If you click on it, you will instruct this app to connect to
the named server (this is the name of the "deployment" you gave during the installation). During this connection process Orkestrator
will understand which services are available on the server and will
potentially will negotaite access rights negotiations. Every app that can connect to Arkitekt has to undergo this connection step.
The connection process is a very important step in the Arkitekt ecosystem. It is the first step to ensure that apps can reliable interface with the Arkitekt server and potential third party modules. It is also an important step that system administrators can use to control which apps can connect to the server, or if they want to restrict access to the server or submodules of the server. More in the Configuration section of the documentation.
If you are not seing a button with the name of your server, this might be because the server is not running (check the Konstruktor
dashboard and validate all items are highlighted green) or because the server is not reachable from your computer.
Make sure to advertise your server from the Konstruktor
interface if all services are running. If you are still not able to connect to the server, please refer to the troubleshooting section for more information.
Almost there
Now that we have connected to the Arkitekt Server there is one more step before we can start using the app. Arkitekt needs to understand who we are, which is why we need to login with our server.
Once clicking login a webpage will open in your default webbrowser and you will be prompted to provide your login details in the Authentication
These should be the user account details that you have created during the installation of the Arkitekt server. (defaults: user: demo
, password: demo
If you are using the Orkestrator
app for the first time you may be prompted by your firewall to allow access to network.
This is a security feature of your operating system and you should allow access to the network. Don't worry Arkitekt will not send any data to the internet,
just check out the source code, if you are worried 😉.
During the installation you were prompted to create both an admin account and various user accounts. You should never use the admin account to login to the server, as this account is only used to manage the server. Please use one of the user accounts that you have created during the installation process.
Shortly after you have logged in, you should see the following screen in the Orkestrator
app. If you are using the webapp, you should see a similar screen in your browser.
This is the Authorization
screen, which is used to grant the Orkestrator
App access to your user account.
This is a very important step and every App that connects to Arkitekt needs to undergo this step. During this step you will grant the App access to your user account,
and tell Arkitekt which actions the App is allowed to perform on your behalf. We are working on a comprehensive documentation for this and give you detailed information
about the App Rights (so called Scopes
) in the future. For this tutorial we will just grant the app full access to your account.
To do this, click on the Authorize button. You will be redirected back to the Orkestrator app and you are finally go to go.
This Authentication and Authorization process is the arguely one of the most important concept in the Arkitekt design. It is the first step to ensure a secure and trustworthy connection between the Arkitekt server and the app. As we believe data privacy and security is a very important topic, every app needs to alert what it can potentially do with your data. As Arkitekt is a very flexible platform, we cannot know what every app can do, so we need to ask you to grant to make sure that you are always in control of your data.
While the Authentication and Authorization process might give you the impression that Arkitekt is safe and sound and production ready, we are not. Some of the security features have been disabled in the Paper
channel deployment or are not fully implemented yet.
Safety is our top priority, but we are still in the early stages of development. For now Arkitekt should be safe by Design
not by Implementation
. Online features of Arkitekt should stil be happening in a controlled environment such as a local network or a secure VPN.
If you are interested in helping us to make Arkitekt production ready, please check out our contribution guide.
Welcome to Orkestrator
And now you are finally ready to use the Orkestrator app. Quite a few steps. But trust us, its worth it! You should now see the following screen in the Orkestrator app.
Before we go any further. Just explore this webinterface. No worries you cannot break anything (thats not already broken 😉). You can click on the different buttons and see what happens. Three things are important to know:
throughout the app is done through the sidebar on the left. Here the main sections of the app are listed (which we will explore in the next sections). The bottom left item is your user account, which you can use to logout from the app or the server- The
== Attached: data records ==
********
1.
TaMnAlRu after structural relaxation. Source: Alexandria via LeMat-Bulk, functional PBE-GGA.

POSCAR file:
```
TaMnAlRu
1.0
3.081 0.000 0.000
0.000 3.081 0.000
0.000 0.000 5.984
Al Ru Mn Ta
1 1 1 1
Direct
0.500 0.500 0.602
0.000 0.000 0.848
0.000 0.000 0.360
0.500 0.500 0.118
```

Values from the calculation:
* Fermi-level density of states: 4.20 states/eV/cell
* space group: P4mm
* formation enthalpy at 0 K: -441.9 meV/atom
* total DFT energy (no corrections): -8.95 eV/atom

---

2.
Cu2TeAs after structural relaxation. Source: Alexandria via LeMat-Bulk, functional PBE-GGA.

POSCAR file:
```
Cu2TeAs
1.0
-0.724 -1.861 -2.594
0.004 -2.463 2.157
-7.454 1.113 1.283
Cu Te As
2 1 1
Direct
0.000 0.000 0.026
0.500 0.500 0.195
0.000 0.000 0.406
0.500 0.500 0.873
```

Values from the calculation:
* uncorrected formation energy: 0.1263 eV/atom
* Fermi-level density of states: 1.50 states/eV/cell
* ΔE to the lowest computed polymorph: 0.0675 eV/atom
* space group: Cmm2
* total DFT energy (no corrections): -3.87 eV/atom

* * * * *

1.
Density functional theory data (PBE) for MnNb2Co after structural relaxation.

Output
Uncorrected energy, eV for the cell shown: -69.53
Energy relative to the elements, eV per atom: 0.4123

a = 6.9403 Å, b = 6.9403 Å, c = 5.5718 Å
α = 51.48°, β = 51.48°, γ = 90.00°
Sites, in units of the cell vectors:
Nb  0.6478  0.1250  0.2500
Nb  0.1022  0.6250  0.2500
Nb  0.3750  0.3522  0.7500
Nb  0.8750  0.8978  0.7500
Mn  0.5000  0.5000  0.0000
Mn  0.2500  0.7500  0.5000
Co  0.0000  0.0000  0.0000
Co  0.7500  0.2500  0.5000

2.
Density functional theory data (PBE) for FePRu2 after structural relaxation.

Output
Uncorrected energy, eV for the cell shown: -32.81
Energy relative to the elements, eV per atom: -0.0961

a = 3.7269 Å, b = 2.8203 Å, c = 5.2505 Å
α = 72.09°, β = 90.00°, γ = 90.00°
Sites, in units of the cell vectors:
Fe  0.5000  0.2500  0.2500
P  0.5000  0.7500  0.7500
Ru  0.0000  0.8731  0.9872
Ru  0.0000  0.6269  0.5128

3.
Density functional theory data (PBE) for Cs2AlAsI6 after structural relaxation.

Output
Uncorrected energy, eV for the cell shown: -27.03
Formation energy from raw total energies, eV per atom: -0.7628

a = 8.3729 Å, b = 8.3729 Å, c = 8.3709 Å
α = 59.99°, β = 59.99°, γ = 90.00°
Sites, in units of the cell vectors:
Cs  0.7500  0.2500  0.5000
Cs  0.2500  0.7500  0.5000
I  0.2523  0.2523  0.4953
I  0.7477  0.7477  0.5047
I  0.2501  0.2501  0.0000
I  0.7499  0.7499  0.0000
I  0.7499  0.2501  0.0000
I  0.2501  0.7499  0.0000
As  0.0000  0.0000  0.0000
Al  0.5000  0.5000  0.0000

4.
Density functional theory data (PBE) for Cs3TlHg2F9 after structural relaxation.

Output
Uncorrected energy, eV for the cell shown: -53.48
Formation energy from raw total energies, eV per atom: -2.0738

a = 6.6479 Å, b = 6.6479 Å, c = 8.1465 Å
α = 90.00°, β = 90.00°, γ = 120.00°
Sites, in units of the cell vectors:
Cs  0.3333  0.6667  0.6730
Cs  0.0000  0.0000  0.0000
Cs  0.6667  0.3333  0.3270
Tl  0.0000  0.0000  0.5000
********
== Here the page continues ==
Main View
of the app is displayed in the center of the screen. This is where you will see the data/workflow/etc that you are working with. - Each `Main View has multipe sidebars that can be opened both on the left and the right side of the screen. These sidebars can be used to display additional information or to configure the main view. Left Sidebars are often used to search for data, while right sidebars are often used to configure the view or provide more details about the data.
- In the bottom right corner of the screen you will find the
Action Buttons
. These buttons provide access to the most important actions that can be performed in the current view. Importantly these actions are context sensitive, so they will change depending on the data you are currently working with, and can also display functionality that will be executed on an connected app.
Lets explore the different views in the next sections.